Given:
- - -
(1)
This record from OMol25 describes a molecular structure, C12H13ClIrO2 at a distorted geometry. The level of theory is ωB97M-V with the def2-TZVPD basis set.

Geometry as XYZ:
```
29
C12H13ClIrO2 (ωB97M-V with the def2-TZVPD basis set)
C -2.16 -0.95 -0.03
C -1.56 -1.13 -1.32
C -1.35 0.16 -1.89
H -1.32 -2.09 -1.78
C -1.70 1.15 -0.92
C -2.24 0.46 0.24
H -2.74 0.92 1.09
H -2.52 -1.73 0.63
H -0.98 0.36 -2.89
H -1.69 2.23 -1.05
Ir -0.11 0.07 0.28
Cl 0.18 -1.98 1.37
C 2.10 0.08 0.36
C 1.75 1.34 -0.28
C 1.41 1.06 -1.64
H 1.94 2.32 0.16
C 1.54 -0.35 -1.86
C 2.01 -0.95 -0.67
H 2.28 -1.99 -0.53
H 2.60 -0.02 1.32
H 1.13 1.82 -2.36
H 1.34 -0.89 -2.78
C -0.22 1.11 4.25
O -0.16 0.40 2.98
C -0.10 1.15 1.88
O -0.06 2.38 1.88
H -1.16 0.78 4.71
H -0.19 2.19 4.08
H 0.65 0.74 4.81
```

Computed properties:
* gap between HOMO and LUMO (spin up / spin down): 0.116 / 0.244 Ha
* net charge: -1
* <S²>: 6.028
* highest occupied orbital energy (spin up / spin down): -0.086 / -4.095 eV
* relative energy (zero: lowest compared OMol25 entry of this formula, charge and spin): 41.0 kcal/mol
* 2S+1: 5

---

(2)
This record from OMol25 describes a molecular structure, C12H13ClMnN2O2 at a distorted geometry. The level of theory is ωB97M-V with the def2-TZVPD basis set.

Geometry as XYZ:
```
31
C12H13ClMnN2O2 (ωB97M-V with the def2-TZVPD basis set)
Cl -3.93 -0.61 -0.51
C 1.94 -1.98 -1.70
C 2.64 -0.73 -1.88
C 1.66 0.31 -2.00
H 3.72 -0.63 -2.01
C 0.35 -0.28 -2.02
C 0.52 -1.69 -1.77
H -0.32 -2.38 -1.72
H 2.40 -2.97 -1.63
H 1.84 1.38 -2.14
C -0.90 0.38 -2.49
Mn 1.44 -0.74 -0.18
C 2.95 -0.57 0.81
C 1.08 -2.27 0.77
O 3.74 -0.62 1.68
O 0.67 -3.06 1.52
H -0.87 1.45 -2.24
H -1.79 -0.07 -2.02
H -1.02 0.29 -3.58
C -2.82 2.04 1.88
N -1.55 1.33 1.82
C -0.66 1.18 2.88
C 0.40 0.45 2.40
N 0.18 0.21 1.04
C -1.03 0.71 0.75
H -3.61 1.39 1.49
H -3.01 2.32 2.92
H -2.79 2.96 1.27
H -0.86 1.57 3.86
H 1.26 0.08 2.93
H -1.62 0.53 -0.13
```

Computed properties:
* gap between HOMO and LUMO (spin up / spin down): 0.307 / 0.236 Ha
* net charge: +2
* <S²>: 3.811
* highest occupied orbital energy (spin up / spin down): -16.561 / -16.537 eV
* relative energy (zero: lowest compared OMol25 entry of this formula, charge and spin): 0.0 kcal/mol
* 2S+1: 4

---

(3)
This record from OMol25 describes a molecular structure, C12H13CrN at a distorted geometry. The level of theory is ωB97M-V with the def2-TZVPD basis set.

Geometry as XYZ:
```
27
C12H13CrN (ωB97M-V with the def2-TZVPD basis set)
Cr -1.05 -1.11 -0.56
C -2.96 -2.46 -1.59
H -3.57 -1.56 -1.42
H -2.80 -2.58 -2.66
H -3.55 -3.32 -1.26
H -1.94 -2.52 -1.00
H -0.59 -2.61 -0.34
C -1.11 0.63 3.35
C -0.16 1.66 3.23
C 0.61 1.73 2.05
C 0.34 0.82 1.02
N -0.64 -0.12 1.13
C -1.32 -0.26 2.31
C 1.08 0.75 -0.23
C 2.15 1.64 -0.51
C 2.83 1.51 -1.73
C 2.49 0.46 -2.61
C 1.45 -0.44 -2.31
C 0.71 -0.26 -1.15
H -1.69 0.53 4.28
H 0.02 2.39 3.99
H 1.38 2.45 1.89
H -2.01 -1.10 2.38
H 2.41 2.41 0.23
H 3.63 2.23 -1.96
H 3.06 0.36 -3.55
H 1.23 -1.26 -2.98
```

Computed properties:
* gap between HOMO and LUMO (spin up / spin down): 0.225 / 0.299 Ha
* net charge: 0
* <S²>: 6.058
* highest occupied orbital energy (spin up / spin down): -6.190 / -8.227 eV
* 2S+1: 5

---

(4)
This record from OMol25 describes a single C12H13FN5O3P molecule at a distorted geometry. The level of theory is ωB97M-V with the def2-TZVPD basis set.

Geometry as XYZ:
```
35
C12H13FN5O3P (ωB97M-V with the def2-TZVPD basis set)
O -1.76 -2.47 -0.19
P -1.87 -3.23 -1.46
O -3.41 -3.20 -1.87
O -1.43 -4.68 -1.25
C -0.83 -2.27 -2.83
N -0.28 -0.92 -2.49
C 1.12 -0.68 -2.04
C 1.48 0.86 -2.01
C 0.99 1.60 -0.84
C 0.68 2.09 0.23
C 0.35 2.68 1.54
C 1.22 3.39 2.29
C 0.86 4.07 3.46
C -0.42 3.95 3.88
C -1.30 3.19 3.15
C -0.96 2.55 2.01
F -1.97 1.86 1.35
C 1.55 -1.34 -0.75
N 2.85 -1.66 -0.51
N 2.77 -2.45 0.67
N 1.57 -2.69 1.02
N 0.84 -1.99 0.15
H -3.76 -3.30 -0.94
H -1.88 -5.02 -0.50
H 0.00 -2.90 -3.18
H -1.47 -2.16 -3.73
H -0.95 -0.45 -1.94
H 1.77 -0.98 -2.81
H 1.06 1.37 -2.86
H 2.55 0.91 -2.02
H 2.21 3.56 1.91
- - -

Exercise:
It remains to write out everything further above without altering anything.

Response:
(1)
This record from OMol25 describes a molecular structure, C12H13ClIrO2 at a distorted geometry. The level of theory is ωB97M-V with the def2-TZVPD basis set.

Geometry as XYZ:
```
29
C12H13ClIrO2 (ωB97M-V with the def2-TZVPD basis set)
C -2.16 -0.95 -0.03
C -1.56 -1.13 -1.32
C -1.35 0.16 -1.89
H -1.32 -2.09 -1.78
C -1.70 1.15 -0.92
C -2.24 0.46 0.24
H -2.74 0.92 1.09
H -2.52 -1.73 0.63
H -0.98 0.36 -2.89
H -1.69 2.23 -1.05
Ir -0.11 0.07 0.28
Cl 0.18 -1.98 1.37
C 2.10 0.08 0.36
C 1.75 1.34 -0.28
C 1.41 1.06 -1.64
H 1.94 2.32 0.16
C 1.54 -0.35 -1.86
C 2.01 -0.95 -0.67
H 2.28 -1.99 -0.53
H 2.60 -0.02 1.32
H 1.13 1.82 -2.36
H 1.34 -0.89 -2.78
C -0.22 1.11 4.25
O -0.16 0.40 2.98
C -0.10 1.15 1.88
O -0.06 2.38 1.88
H -1.16 0.78 4.71
H -0.19 2.19 4.08
H 0.65 0.74 4.81
```

Computed properties:
* gap between HOMO and LUMO (spin up / spin down): 0.116 / 0.244 Ha
* net charge: -1
* <S²>: 6.028
* highest occupied orbital energy (spin up / spin down): -0.086 / -4.095 eV
* relative energy (zero: lowest compared OMol25 entry of this formula, charge and spin): 41.0 kcal/mol
* 2S+1: 5

---

(2)
This record from OMol25 describes a molecular structure, C12H13ClMnN2O2 at a distorted geometry. The level of theory is ωB97M-V with the def2-TZVPD basis set.

Geometry as XYZ:
```
31
C12H13ClMnN2O2 (ωB97M-V with the def2-TZVPD basis set)
Cl -3.93 -0.61 -0.51
C 1.94 -1.98 -1.70
C 2.64 -0.73 -1.88
C 1.66 0.31 -2.00
H 3.72 -0.63 -2.01
C 0.35 -0.28 -2.02
C 0.52 -1.69 -1.77
H -0.32 -2.38 -1.72
H 2.40 -2.97 -1.63
H 1.84 1.38 -2.14
C -0.90 0.38 -2.49
Mn 1.44 -0.74 -0.18
C 2.95 -0.57 0.81
C 1.08 -2.27 0.77
O 3.74 -0.62 1.68
O 0.67 -3.06 1.52
H -0.87 1.45 -2.24
H -1.79 -0.07 -2.02
H -1.02 0.29 -3.58
C -2.82 2.04 1.88
N -1.55 1.33 1.82
C -0.66 1.18 2.88
C 0.40 0.45 2.40
N 0.18 0.21 1.04
C -1.03 0.71 0.75
H -3.61 1.39 1.49
H -3.01 2.32 2.92
H -2.79 2.96 1.27
H -0.86 1.57 3.86
H 1.26 0.08 2.93
H -1.62 0.53 -0.13
```

Computed properties:
* gap between HOMO and LUMO (spin up / spin down): 0.307 / 0.236 Ha
* net charge: +2
* <S²>: 3.811
* highest occupied orbital energy (spin up / spin down): -16.561 / -16.537 eV
* relative energy (zero: lowest compared OMol25 entry of this formula, charge and spin): 0.0 kcal/mol
* 2S+1: 4

---

(3)
This record from OMol25 describes a molecular structure, C12H13CrN at a distorted geometry. The level of theory is ωB97M-V with the def2-TZVPD basis set.

Geometry as XYZ:
```
27
C12H13CrN (ωB97M-V with the def2-TZVPD basis set)
Cr -1.05 -1.11 -0.56
C -2.96 -2.46 -1.59
H -3.57 -1.56 -1.42
H -2.80 -2.58 -2.66
H -3.55 -3.32 -1.26
H -1.94 -2.52 -1.00
H -0.59 -2.61 -0.34
C -1.11 0.63 3.35
C -0.16 1.66 3.23
C 0.61 1.73 2.05
C 0.34 0.82 1.02
N -0.64 -0.12 1.13
C -1.32 -0.26 2.31
C 1.08 0.75 -0.23
C 2.15 1.64 -0.51
C 2.83 1.51 -1.73
C 2.49 0.46 -2.61
C 1.45 -0.44 -2.31
C 0.71 -0.26 -1.15
H -1.69 0.53 4.28
H 0.02 2.39 3.99
H 1.38 2.45 1.89
H -2.01 -1.10 2.38
H 2.41 2.41 0.23
H 3.63 2.23 -1.96
H 3.06 0.36 -3.55
H 1.23 -1.26 -2.98
```

Computed properties:
* gap between HOMO and LUMO (spin up / spin down): 0.225 / 0.299 Ha
* net charge: 0
* <S²>: 6.058
* highest occupied orbital energy (spin up / spin down): -6.190 / -8.227 eV
* 2S+1: 5

---

(4)
This record from OMol25 describes a single C12H13FN5O3P molecule at a distorted geometry. The level of theory is ωB97M-V with the def2-TZVPD basis set.

Geometry as XYZ:
```
35
C12H13FN5O3P (ωB97M-V with the def2-TZVPD basis set)
O -1.76 -2.47 -0.19
P -1.87 -3.23 -1.46
O -3.41 -3.20 -1.87
O -1.43 -4.68 -1.25
C -0.83 -2.27 -2.83
N -0.28 -0.92 -2.49
C 1.12 -0.68 -2.04
C 1.48 0.86 -2.01
C 0.99 1.60 -0.84
C 0.68 2.09 0.23
C 0.35 2.68 1.54
C 1.22 3.39 2.29
C 0.86 4.07 3.46
C -0.42 3.95 3.88
C -1.30 3.19 3.15
C -0.96 2.55 2.01
F -1.97 1.86 1.35
C 1.55 -1.34 -0.75
N 2.85 -1.66 -0.51
N 2.77 -2.45 0.67
N 1.57 -2.69 1.02
N 0.84 -1.99 0.15
H -3.76 -3.30 -0.94
H -1.88 -5.02 -0.50
H 0.00 -2.90 -3.18
H -1.47 -2.16 -3.73
H -0.95 -0.45 -1.94
H 1.77 -0.98 -2.81
H 1.06 1.37 -2.86
H 2.55 0.91 -2.02
H 2.21 3.56 1.91